Brief
Quote only the lines further below with the word "Gap" in them.

File
<<<
Entry 1:
C42H34AsCl2IO5PZn as an isolated structure. Source: the Open Molecules 2025 dataset; level of theory: the ωB97M-V functional and the def2-TZVPD basis.

Each line ends with the Löwdin charge.
Cartesian coordinates (Å):
I 2.4384 9.4406 1.5192  0.8037
As -0.4211 -1.9369 -1.6167  1.1828
Zn -0.0691 1.0591 -0.4010  0.6172
Cl -5.7394 4.2197 -3.6376  0.6215
Cl -4.4466 2.2229 1.2086  0.6990
P 0.3912 -0.2224 1.6392  1.0721
O -0.3766 1.1428 -2.4420  -0.0524
O 0.3848 2.9944 -0.2983  -0.0862
O -2.0435 1.3005 -0.1595  -0.1480
O 2.0215 -0.5474 -1.7091  -0.0448
O 2.2302 2.4217 0.8470  0.0180
C 4.4256 -2.3906 2.0126  -0.1370
C 1.9671 -4.9526 -4.7083  -0.0921
C 1.7011 -3.7266 -4.1169  -0.0602
C 3.6580 -2.0711 3.1834  -0.1465
C 0.5987 5.5637 0.9052  -0.0126
C 4.0516 -2.0103 0.7724  -0.0808
C 0.4331 -3.1457 -4.1968  -0.3042
C -3.4342 2.8918 -3.1331  -0.0779
C 2.1083 7.3973 1.1706  -0.7373
C 0.1916 0.7698 3.1810  -0.3142
C 0.0008 2.3596 5.4756  -0.1017
C -4.0499 2.4800 -0.4603  -0.5678
C 1.1369 2.4174 4.6760  -0.0764
C 0.1521 -1.8407 -3.5258  -0.3220
C 0.6391 -3.4476 -0.9785  -0.2653
C -2.5234 2.1954 -2.3181  -0.1138
C -3.1883 -2.2799 1.8167  -0.0937
C -0.5576 -3.8335 -4.8981  -0.0678
C -4.6040 3.3609 -2.6211  -0.6711
C -0.2978 -5.0648 -5.4887  -0.0979
C 0.8084 6.9127 1.1611  -0.1526
C -1.4959 -3.7549 2.6658  -0.0866
C 1.2337 1.6301 3.5377  -0.0924
C -2.2218 -1.3088 1.5807  -0.1221
C -2.8284 -3.5047 2.3638  -0.1001
C -1.0382 1.5108 5.1273  -0.0933
C 0.9668 -5.6319 -5.3958  -0.1116
C 2.8111 -1.2476 0.5538  -0.2444
C 3.1939 6.5631 0.9523  -0.1549
C 1.4438 3.2503 0.3995  -0.5902
C -0.5282 -2.7851 2.4282  -0.0898
C -2.0808 -2.9545 -1.8983  -0.3033
C 1.6746 4.7103 0.6865  -0.1275
C 1.9775 -0.9871 1.7655  -0.3627
C 2.4769 -1.3907 3.0149  -0.1705
C -0.8800 -1.5469 1.8941  -0.3568
C -0.9463 0.7228 3.9838  -0.0741
C 2.9668 5.2118 0.7222  -0.0149
C -1.3068 1.7498 -2.9457  -0.1723
C -2.8028 1.9512 -0.9365  -0.3690
C 2.5443 -0.7035 -0.6358  -0.2197
C -4.9171 3.1575 -1.2662  -0.1261
H -4.2233 -2.0791 1.5659  0.1019
H 0.5789 -4.2910 -1.6672  0.0253
H -0.0291 7.5742 1.3410  0.0886
H -0.0729 2.9745 6.3661  0.0950
H 4.2015 6.9551 0.9642  0.0873
H -3.1947 3.0511 -4.1784  0.1125
H 3.9949 -2.3666 4.1688  0.0699
H 4.6697 -2.2423 -0.0888  0.0972
H -0.4075 5.1624 0.8708  0.1205
H -1.7668 0.0663 3.7279  0.0933
H 0.2449 -3.7387 -0.0045  0.0134
H -3.5815 -4.2632 2.5476  0.0957
H 2.9592 -5.3829 -4.6286  0.0980
H -1.5447 -3.3921 -4.9852  0.1068
H 2.4815 -3.2038 -3.5751  0.1152
H 3.7988 4.5336 0.5722  0.1217
H -2.5026 -3.1963 -0.9218  0.0018
H -2.8041 -2.3467 -2.4468  0.0193
H -0.6555 -1.3053 -4.0262  0.0658
H -1.9258 1.4558 5.7473  0.0965
H 1.6795 -3.1403 -0.8480  0.0184
H 1.0306 -1.1969 -3.5139  0.0493
H 1.1747 -6.5882 -5.8616  0.0920
H -2.5101 -0.3511 1.1606  0.0727
H -1.8871 -3.8772 -2.4482  0.0128
H -1.0879 -5.5845 -6.0203  0.0955
H 5.3516 -2.9459 2.1242  0.0885
H -1.2049 -4.7094 3.0900  0.0991
H 1.8825 -1.1614 3.8966  0.1043
H -5.8446 3.5361 -0.8586  0.1038
H 2.1185 1.6700 2.9137  0.0945
H 0.5142 -2.9959 2.6377  0.0987
H 1.9547 3.0774 4.9413  0.1018
H -1.2228 1.9797 -4.0194  0.1354

Calculated values
- Gap between HOMO and LUMO: 4.584 eV
- Relative energy (zero: lowest compared OMol25 entry of this formula, charge and spin): 195.1 kJ/mol
- HOMO: -2.70 eV
- Net charge: -1
- Lowest unoccupied orbital energy: 1.9 eV

---

Entry 2:
C42H34Br4N2O3P2ReS3 as an isolated structure. Source: the Open Molecules 2025 dataset; level of theory: the ωB97M-V functional and the def2-TZVPD basis.

Each line ends with the Löwdin charge.
Cartesian coordinates (Å):
Re -0.2539 -0.0765 0.8337  1.1627
Br -5.4431 -4.1065 3.1078  0.7249
Br -4.4011 -2.8570 0.1706  0.8411
Br -1.1964 -1.1622 5.6230  0.7859
Br -3.8209 -3.2502 5.8744  0.7234
S 1.4121 1.7433 1.1998  0.3132
S -1.3585 1.3174 -1.0601  0.7129
S 0.5378 -3.1695 1.2824  0.3705
P 1.9410 -2.2316 0.2770  0.3828
P 2.2357 0.7416 -0.3820  0.4854
O -1.9184 -1.1407 0.5881  -0.3394
O -5.5309 -0.8679 -2.2645  0.0902
>>>

Response
- Gap between HOMO and LUMO: 4.584 eV